**What to do**
Copy all of the notes further down without altering anything.

**Listing**
<<<
A plane-wave DFT calculation with PBEsol was carried out for a relaxed structure of CaGa3Co2.

Lattice parameters (Å, degrees): 9.584 7.599 5.193 90.00 90.00 90.00
Space group Cmcm (No. 63)
One atom of each set of equivalent atoms:
Ca: 0.000 0.154 0.250 [4 per cell]
Ga: 0.000 0.454 0.750 [4 per cell]
Ga: 0.194 0.223 0.750 [8 per cell]
Co: 0.206 0.500 0.000 [8 per cell]

Results
- ΔE_f: -422 meV per atom
- DOS at the Fermi energy: 14.165 states/eV/cell
- Calculated total energy: -5.0266 eV per atom


A plane-wave DFT calculation with PBEsol was carried out for a relaxed structure of CaGa3Co.

Lattice parameters (Å, degrees): 4.512 4.512 4.512 90.00 90.00 90.00
Space group Pm-3m (No. 221)
One atom of each set of equivalent atoms:
Ca: 0.000 0.000 0.000 [1 per cell]
Ga: 0.000 0.500 0.500 [3 per cell]
Co: 0.500 0.500 0.500 [1 per cell]

Results
- ΔE_f: -358 meV per atom
- DOS at the Fermi energy: 3.464 states/eV/cell
- Calculated total energy: -4.3357 eV per atom


A plane-wave DFT calculation with PBEsol was carried out for a relaxed structure of Ca3CoGe.

Lattice parameters (Å, degrees): 5.116 5.116 5.116 90.00 90.00 90.00
Space group Pm-3m (No. 221)
One atom of each set of equivalent atoms:
Ca: 0.000 0.000 0.500 [3 per cell]
Co: 0.000 0.000 0.000 [1 per cell]
Ge: 0.500 0.500 0.500 [1 per cell]

Results
- ΔE_f: 190 meV per atom
- DOS at the Fermi energy: 6.499 states/eV/cell
- Calculated total energy: -3.6254 eV per atom


This record from Alexandria via LeMat-Bulk describes a relaxed Y2ReAg crystal. The functional is PBE.

Geometry as extended XYZ:
```
4
Lattice="3.5995 0.0000 0.0000 0.0000 3.5995 0.0000 0.0000 0.0000 7.4100" Properties=species:S:1:pos:R:3 pbc="T T T"
Y 0.0000 0.0000 0.0000
Y 1.7997 1.7997 2.8933
Re 1.7997 1.7997 5.7629
Ag 0.0000 0.0000 4.4777
```

Calculated values
magnetic moment = 0.0 Bohr magnetons per cell
formation energy = 0.395 eV per atom
space group = P4mm, No. 99
N(E_F) = 0.987 states/eV per atom
>>>

**Written answer**
A plane-wave DFT calculation with PBEsol was carried out for a relaxed structure of CaGa3Co2.

Lattice parameters (Å, degrees): 9.584 7.599 5.193 90.00 90.00 90.00
Space group Cmcm (No. 63)
One atom of each set of equivalent atoms:
Ca: 0.000 0.154 0.250 [4 per cell]
Ga: 0.000 0.454 0.750 [4 per cell]
Ga: 0.194 0.223 0.750 [8 per cell]
Co: 0.206 0.500 0.000 [8 per cell]

Results
- ΔE_f: -422 meV per atom
- DOS at the Fermi energy: 14.165 states/eV/cell
- Calculated total energy: -5.0266 eV per atom


A plane-wave DFT calculation with PBEsol was carried out for a relaxed structure of CaGa3Co.

Lattice parameters (Å, degrees): 4.512 4.512 4.512 90.00 90.00 90.00
Space group Pm-3m (No. 221)
One atom of each set of equivalent atoms:
Ca: 0.000 0.000 0.000 [1 per cell]
Ga: 0.000 0.500 0.500 [3 per cell]
Co: 0.500 0.500 0.500 [1 per cell]

Results
- ΔE_f: -358 meV per atom
- DOS at the Fermi energy: 3.464 states/eV/cell
- Calculated total energy: -4.3357 eV per atom


A plane-wave DFT calculation with PBEsol was carried out for a relaxed structure of Ca3CoGe.

Lattice parameters (Å, degrees): 5.116 5.116 5.116 90.00 90.00 90.00
Space group Pm-3m (No. 221)
One atom of each set of equivalent atoms:
Ca: 0.000 0.000 0.500 [3 per cell]
Co: 0.000 0.000 0.000 [1 per cell]
Ge: 0.500 0.500 0.500 [1 per cell]

Results
- ΔE_f: 190 meV per atom
- DOS at the Fermi energy: 6.499 states/eV/cell
- Calculated total energy: -3.6254 eV per atom


This record from Alexandria via LeMat-Bulk describes a relaxed Y2ReAg crystal. The functional is PBE.

Geometry as extended XYZ:
```
4
Lattice="3.5995 0.0000 0.0000 0.0000 3.5995 0.0000 0.0000 0.0000 7.4100" Properties=species:S:1:pos:R:3 pbc="T T T"
Y 0.0000 0.0000 0.0000
Y 1.7997 1.7997 2.8933
Re 1.7997 1.7997 5.7629
Ag 0.0000 0.0000 4.4777
```

Calculated values
magnetic moment = 0.0 Bohr magnetons per cell
formation energy = 0.395 eV per atom
space group = P4mm, No. 99
N(E_F) = 0.987 states/eV per atom